Entries:
-- begin --
Version P
Formula: C2H4O2S
Source: the OMol25 dataset
Level of theory: ωB97M-V/def2-TZVPD

Calculated values
M: 92.1 g mol⁻¹
LUMO level: 0.3 eV
orbital gap: 9.39 eV
total charge: 0
HOMO: -9.1 eV

Last column: natural (NBO) charge in e.
Element x y z (Å)
C: 0.5549 -0.5231 -0.6792  -0.67
C: -0.6998 1.0783 0.2376  0.08
O: 1.1715 -2.9228 -1.1203  -0.93
O: -0.8385 0.7601 1.5385  -0.67
S: 0.1717 -2.0710 -0.4500  1.12
H: 1.3804 -0.1165 -1.2358  0.21
H: -1.6200 0.9303 -0.3048  0.19
H: -0.0845 1.9256 -0.0275  0.18
H: -0.0359 0.9390 2.0414  0.49

=====

Version Q
Formula: C2H4O2S
Source: the OMol25 dataset
Level of theory: ωB97M-V/def2-TZVPD

Calculated values
structure (SMILES): O=C(O)CS
M: 92.1 g mol⁻¹
LUMO level: 0.5 eV
orbital gap: 10.35 eV
total charge: 0
HOMO: -9.8 eV

Last column: natural (NBO) charge in e.
Element x y z (Å)
O: 1.5798 -1.0838 -0.5029  -0.55
C: 0.9465 -0.1173 -0.1481  0.77
O: 1.4373 1.1563 -0.3535  -0.67
C: -0.3641 -0.2047 0.6321  -0.66
S: -1.7605 0.0811 -0.4365  -0.01
H: 0.6406 1.7299 -0.3530  0.48
H: -0.4257 -1.1842 1.0940  0.25
H: -0.4314 0.5667 1.3862  0.24
H: -1.6226 -0.9440 -1.3183  0.14

=====

Version R
Formula: C2H4O2S
Source: the OMol25 dataset
Level of theory: ωB97M-V/def2-TZVPD

Calculated values
M: 92.1 g mol⁻¹
LUMO level: -1.3 eV
orbital gap: 7.72 eV
total charge: 0
HOMO: -9.0 eV

Last column: natural (NBO) charge in e.
Element x y z (Å)
C: 0.1138 -0.8611 -0.0183  -0.73
C: -1.0424 0.2627 -0.0028  0.79
H: 0.9886 1.4067 1.3417  0.14
H: 0.0564 -1.4846 0.8425  0.22
H: 0.1256 -1.5077 -1.0259  0.23
H: -1.9807 -1.4867 -0.4818  0.53
O: -2.1976 -0.3686 0.1723  -0.65
O: -0.5504 1.3640 -0.2282  -0.54
S: 1.7728 -0.0813 -0.0064  0.00

=====

Version S
Formula: C2H4O2S
Source: the OMol25 dataset
Level of theory: ωB97M-V/def2-TZVPD

Calculated values
M: 92.1 g mol⁻¹
LUMO level: -0.1 eV
orbital gap: 8.93 eV
total charge: 0
HOMO: -9.0 eV

Last column: natural (NBO) charge in e.
Element x y z (Å)
C: 0.1408 0.0115 0.2208  0.01
C: -1.0788 0.6412 -0.0210  -0.71
O: 2.6226 -0.1692 -0.1547  -0.93
O: 0.1101 -1.5814 -0.0240  -0.71
S: 1.5811 0.8032 0.0663  1.11
H: -1.9801 0.2544 0.5630  0.25
H: -1.1758 0.2668 -1.0530  0.26
H: -1.0630 1.7605 -0.0331  0.25
H: 0.8430 -1.9871 0.4357  0.49

=====

Relative energies, eV: version P 4.067; version Q 0.000; version R 5.734; version S 2.655.

=====

Version P
Formula: C2H4O2S
Source: the OMol25 dataset
Level of theory: ωB97M-V/def2-TZVPD

Calculated values
structure (SMILES): CC=O.O=S
M: 92.1 g mol⁻¹
LUMO level (spin up / spin down): -1.7 / -1.7 eV
orbital gap (spin up / spin down): 7.69 / 7.82 eV
total charge: 0
HOMO (spin up / spin down): -9.4 / -9.5 eV

Last column: natural (NBO) charge in e.
Element x y z (Å)
C: 1.3777 0.3842 -0.3328  -0.75
C: 0.4228 -0.7470 -0.0218  0.46
O: 0.4753 -1.8129 -0.5608  -0.52
H: 1.2298 0.7033 -1.2904  0.23
H: 2.3856 -0.0846 -0.3065  0.26
H: 1.3624 1.2245 0.4031  0.21
H: -0.1386 -0.3956 0.7941  0.10
O: 3.7442 -0.8351 0.6283  -0.71
S: 4.0652 -2.2207 0.2464  0.72

=====

Version Q
Formula: C2H4O2S
Source: the OMol25 dataset
Level of theory: ωB97M-V/def2-TZVPD

Calculated values
structure (SMILES): CC(=S)OO
M: 92.1 g mol⁻¹
LUMO level: 0.4 eV
orbital gap: 9.42 eV
total charge: 0
HOMO: -9.0 eV

Last column: natural (NBO) charge in e.
Element x y z (Å)
C: -0.1573 0.2914 0.9794  -0.73
C: -0.5380 0.5148 -0.3968  0.20
S: -1.4262 1.7124 -0.9961  -0.02
O: 0.0023 -0.3455 -1.3265  -0.24
O: 0.7023 -1.4546 -0.7461  -0.46
H: 0.9070 0.4475 0.8365  0.25
H: -0.2753 -0.5756 1.6022  0.26
H: -0.5475 1.2076 1.4583  0.25
H: 1.3327 -1.7980 -1.4108  0.48

=====

Relative energies, eV: version P 0.000; version Q 0.540.

=====

Version P
Formula: C3H6N2O3
Source: the OMol25 dataset
Level of theory: ωB97M-V/def2-TZVPD

Calculated values
structure (SMILES): N/N=C/OCOC=O
M: 118.1 g mol⁻¹
LUMO level: 0.8 eV
orbital gap: 9.40 eV
total charge: 0
HOMO: -8.6 eV

Last column: natural (NBO) charge in e.
Element x y z (Å)
N: -2.8880 0.6220 1.7270  -0.72
N: -1.3648 0.3321 1.5109  -0.34
-- stop --

Brief:
Could you return everything further above exactly?

Done:
Version P
Formula: C2H4O2S
Source: the OMol25 dataset
Level of theory: ωB97M-V/def2-TZVPD

Calculated values
M: 92.1 g mol⁻¹
LUMO level: 0.3 eV
orbital gap: 9.39 eV
total charge: 0
HOMO: -9.1 eV

Last column: natural (NBO) charge in e.
Element x y z (Å)
C: 0.5549 -0.5231 -0.6792  -0.67
C: -0.6998 1.0783 0.2376  0.08
O: 1.1715 -2.9228 -1.1203  -0.93
O: -0.8385 0.7601 1.5385  -0.67
S: 0.1717 -2.0710 -0.4500  1.12
H: 1.3804 -0.1165 -1.2358  0.21
H: -1.6200 0.9303 -0.3048  0.19
H: -0.0845 1.9256 -0.0275  0.18
H: -0.0359 0.9390 2.0414  0.49

=====

Version Q
Formula: C2H4O2S
Source: the OMol25 dataset
Level of theory: ωB97M-V/def2-TZVPD

Calculated values
structure (SMILES): O=C(O)CS
M: 92.1 g mol⁻¹
LUMO level: 0.5 eV
orbital gap: 10.35 eV
total charge: 0
HOMO: -9.8 eV

Last column: natural (NBO) charge in e.
Element x y z (Å)
O: 1.5798 -1.0838 -0.5029  -0.55
C: 0.9465 -0.1173 -0.1481  0.77
O: 1.4373 1.1563 -0.3535  -0.67
C: -0.3641 -0.2047 0.6321  -0.66
S: -1.7605 0.0811 -0.4365  -0.01
H: 0.6406 1.7299 -0.3530  0.48
H: -0.4257 -1.1842 1.0940  0.25
H: -0.4314 0.5667 1.3862  0.24
H: -1.6226 -0.9440 -1.3183  0.14

=====

Version R
Formula: C2H4O2S
Source: the OMol25 dataset
Level of theory: ωB97M-V/def2-TZVPD

Calculated values
M: 92.1 g mol⁻¹
LUMO level: -1.3 eV
orbital gap: 7.72 eV
total charge: 0
HOMO: -9.0 eV

Last column: natural (NBO) charge in e.
Element x y z (Å)
C: 0.1138 -0.8611 -0.0183  -0.73
C: -1.0424 0.2627 -0.0028  0.79
H: 0.9886 1.4067 1.3417  0.14
H: 0.0564 -1.4846 0.8425  0.22
H: 0.1256 -1.5077 -1.0259  0.23
H: -1.9807 -1.4867 -0.4818  0.53
O: -2.1976 -0.3686 0.1723  -0.65
O: -0.5504 1.3640 -0.2282  -0.54
S: 1.7728 -0.0813 -0.0064  0.00

=====

Version S
Formula: C2H4O2S
Source: the OMol25 dataset
Level of theory: ωB97M-V/def2-TZVPD

Calculated values
M: 92.1 g mol⁻¹
LUMO level: -0.1 eV
orbital gap: 8.93 eV
total charge: 0
HOMO: -9.0 eV

Last column: natural (NBO) charge in e.
Element x y z (Å)
C: 0.1408 0.0115 0.2208  0.01
C: -1.0788 0.6412 -0.0210  -0.71
O: 2.6226 -0.1692 -0.1547  -0.93
O: 0.1101 -1.5814 -0.0240  -0.71
S: 1.5811 0.8032 0.0663  1.11
H: -1.9801 0.2544 0.5630  0.25
H: -1.1758 0.2668 -1.0530  0.26
H: -1.0630 1.7605 -0.0331  0.25
H: 0.8430 -1.9871 0.4357  0.49

=====

Relative energies, eV: version P 4.067; version Q 0.000; version R 5.734; version S 2.655.

=====

Version P
Formula: C2H4O2S
Source: the OMol25 dataset
Level of theory: ωB97M-V/def2-TZVPD

Calculated values
structure (SMILES): CC=O.O=S
M: 92.1 g mol⁻¹
LUMO level (spin up / spin down): -1.7 / -1.7 eV
orbital gap (spin up / spin down): 7.69 / 7.82 eV
total charge: 0
HOMO (spin up / spin down): -9.4 / -9.5 eV

Last column: natural (NBO) charge in e.
Element x y z (Å)
C: 1.3777 0.3842 -0.3328  -0.75
C: 0.4228 -0.7470 -0.0218  0.46
O: 0.4753 -1.8129 -0.5608  -0.52
H: 1.2298 0.7033 -1.2904  0.23
H: 2.3856 -0.0846 -0.3065  0.26
H: 1.3624 1.2245 0.4031  0.21
H: -0.1386 -0.3956 0.7941  0.10
O: 3.7442 -0.8351 0.6283  -0.71
S: 4.0652 -2.2207 0.2464  0.72

=====

Version Q
Formula: C2H4O2S
Source: the OMol25 dataset
Level of theory: ωB97M-V/def2-TZVPD

Calculated values
structure (SMILES): CC(=S)OO
M: 92.1 g mol⁻¹
LUMO level: 0.4 eV
orbital gap: 9.42 eV
total charge: 0
HOMO: -9.0 eV

Last column: natural (NBO) charge in e.
Element x y z (Å)
C: -0.1573 0.2914 0.9794  -0.73
C: -0.5380 0.5148 -0.3968  0.20
S: -1.4262 1.7124 -0.9961  -0.02
O: 0.0023 -0.3455 -1.3265  -0.24
O: 0.7023 -1.4546 -0.7461  -0.46
H: 0.9070 0.4475 0.8365  0.25
H: -0.2753 -0.5756 1.6022  0.26
H: -0.5475 1.2076 1.4583  0.25
H: 1.3327 -1.7980 -1.4108  0.48

=====

Relative energies, eV: version P 0.000; version Q 0.540.

=====

Version P
Formula: C3H6N2O3
Source: the OMol25 dataset
Level of theory: ωB97M-V/def2-TZVPD

Calculated values
structure (SMILES): N/N=C/OCOC=O
M: 118.1 g mol⁻¹
LUMO level: 0.8 eV
orbital gap: 9.40 eV
total charge: 0
HOMO: -8.6 eV

Last column: natural (NBO) charge in e.
Element x y z (Å)
N: -2.8880 0.6220 1.7270  -0.72
N: -1.3648 0.3321 1.5109  -0.34